Listing:
+++
A 2-piece molecular cluster, C2H3Cl2PS overall. Source: the Open Molecules 2025 dataset; level of theory: wB97M-V/def2-TZVPD.

XYZ file:
```
9
Properties=species:S:1:pos:R:3:lowdin_charge:R:1
C 0.39660 2.14871 -0.74298 -0.051
C -0.16113 0.96700 -0.40821 -0.486
P 0.41134 -2.85137 0.93166 -0.241
S -0.91254 -2.92375 2.31023 0.132
Cl -0.54420 -2.74948 -0.77069 0.096
Cl 0.62882 0.03912 0.95145 0.437
H -0.00734 2.63729 -1.55474 0.030
H 1.22355 2.43582 -0.15894 0.039
H -1.03508 0.29665 -0.55778 0.044
```

Values from the calculation:
- HOMO-LUMO gap (spin up / spin down) (eV) = 7.740 / 6.836
- calculated total energy (a.u.) = -1737.82491
- E_HOMO (spin up / spin down) (eV) = -7.0 / -9.9
- spin multiplicity = 3
- max |F| (Eh/bohr) = 0.082
+++

Brief:
The reader should restate the whole of the contents earlier on without additions.

Solution:
A 2-piece molecular cluster, C2H3Cl2PS overall. Source: the Open Molecules 2025 dataset; level of theory: wB97M-V/def2-TZVPD.

XYZ file:
```
9
Properties=species:S:1:pos:R:3:lowdin_charge:R:1
C 0.39660 2.14871 -0.74298 -0.051
C -0.16113 0.96700 -0.40821 -0.486
P 0.41134 -2.85137 0.93166 -0.241
S -0.91254 -2.92375 2.31023 0.132
Cl -0.54420 -2.74948 -0.77069 0.096
Cl 0.62882 0.03912 0.95145 0.437
H -0.00734 2.63729 -1.55474 0.030
H 1.22355 2.43582 -0.15894 0.039
H -1.03508 0.29665 -0.55778 0.044
```

Values from the calculation:
- HOMO-LUMO gap (spin up / spin down) (eV) = 7.740 / 6.836
- calculated total energy (a.u.) = -1737.82491
- E_HOMO (spin up / spin down) (eV) = -7.0 / -9.9
- spin multiplicity = 3
- max |F| (Eh/bohr) = 0.082